'''
1.
Mg3ScIn | PBE | optimized geometry

Cell: 4.9207 4.9344 6.0767 Å, 66.94 66.54 60.30°
Space group P1 (No. 1)
Asymmetric unit:
Mg 0.0000 0.0000 0.0000
Mg 0.2066 0.2037 0.3830
Mg 0.5934 0.5916 0.2213
Sc 0.7961 0.7963 0.6115
In 0.4018 0.4027 0.7932

ΔE_f	-106	meV per atom
E_tot	-14.4	eV/cell
distance to the lowest polymorph of the same formula	0	meV/atom

2.
K3Dy3HfTe8 | PBE | optimized geometry

Cell: 8.7660 8.7660 25.3359 Å, 90.00 90.00 120.00°
Space group R-3m (No. 166, hexagonal axes)
Asymmetric unit:
K 0.0000 0.5000 0.0000
Dy 0.0000 0.5000 0.5000
Hf 0.0000 0.0000 0.5000
Te 0.0000 0.0000 0.2363
Te 0.0152 0.5076 0.2334

energy relative to the elements, uncorrected	-19.04	eV per formula unit
E_tot	-213.7	eV/cell

3.
DyHo6Er5 | PBE | optimized geometry

Cell: 6.0796 10.5197 11.6292 Å, 90.00 100.01 90.00°
Space group C2/m (No. 12)
Asymmetric unit:
Dy 0.0000 0.0000 0.0000
Ho 0.2494 0.5000 0.2503
Ho 0.2497 0.1667 0.2504
Er 0.0000 0.1668 0.5000
Er 0.0000 0.3333 0.0000
Er 0.0000 0.5000 0.5000

ΔE_f	20	meV per atom
E_tot	-109.3	eV/cell

4.
La2GaBr | PBE | optimized geometry

Cell: 4.3813 4.3813 15.2591 Å, 90.00 90.00 120.00°
Space group P6_3/mmc (No. 194)
Asymmetric unit:
La 0.3333 0.6667 0.1109
Ga 0.0000 0.0000 0.0000
Br 0.3333 0.6667 0.7500

energy relative to the elements, uncorrected	-3.69	eV per formula unit
E_tot	-36.5	eV/cell
distance to the lowest polymorph of the same formula	58	meV/atom

----------

one.
Below is an optimized crystal structure of La2NbAlBi, with properties calculated at the PBE-GGA level.

```
La2NbAlBi
1.0
-5.8541 0.9821 1.2277
-1.3640 -3.1457 -3.9879
-0.0103 -4.7574 3.7562
La Nb Al Bi
2 1 1 1
direct
0.5000 0.0000 0.0000 La
0.0000 0.0000 0.5000 La
0.0000 0.5000 0.0000 Nb
0.5000 0.5000 0.5000 Al
0.0000 0.0000 0.0000 Bi
```

## Properties
total magnetic moment: 1.4 μB/f.u.
symmetry: No. 123

=====

two.
Below is an optimized crystal structure of La2NbAlBi, with properties calculated at the PBE-GGA level.

```
La2NbAlBi
1.0
-5.4406 -1.5301 -0.8419
1.0939 -4.6361 1.3569
-1.2072 1.3046 5.4305
Nb Bi Al La
1 1 1 2
direct
0.0000 0.5000 0.0000 Nb
0.5000 0.5000 0.5000 Bi
0.0000 0.0000 0.0000 Al
0.5000 0.0000 0.0000 La
0.0000 0.0000 0.5000 La
```

## Properties
total magnetic moment: 1.9 μB/f.u.
symmetry: No. 123

=====

one is the least stable structure shown above.

----------

1.
VASP calculation (PBE) on a relaxed ErTaTl crystal.

Lattice parameters (Å, degrees): 4.9501 4.9501 4.9501 60.00 60.00 60.00
Last column: nearest neighbours and their distance in Å.
Sites, in units of the cell vectors:
Er1 0.0000 0.0000 0.0000  4 Ta 3.03, 4 Tl 3.03
Ta1 0.7500 0.7500 0.7500  4 Er 3.03
Tl1 0.2500 0.2500 0.2500  4 Er 3.03

As for the symmetry: F-43m. The value obtained for the density is 10.7 g/cm3. The calculation puts the electronic total energy at -5.08 eV/atom.


2.
VASP calculation (PBE) on a relaxed ErTaTl crystal.

Lattice parameters (Å, degrees): 4.8190 4.8190 4.8190 60.00 60.00 60.00
Last column: nearest neighbours and their distance in Å.
Sites, in units of the cell vectors:
Er1 0.0000 0.0000 0.0000  4 Tl 2.95
Ta1 0.5000 0.5000 0.5000  4 Tl 2.95
Tl1 0.2500 0.2500 0.2500  4 Ta 2.95, 4 Er 2.95

As for the symmetry: F-43m. The value obtained for the density is 11.6 g/cm3. The calculation puts the electronic total energy at -5.48 eV/atom.


> The highest electronic total energy belongs to which entry?

number 1


Please write out number 1 again, unchanged.
VASP calculation (PBE) on a relaxed ErTaTl crystal.

Lattice parameters (Å, degrees): 4.9501 4.9501 4.9501 60.00 60.00 60.00
Last column: nearest neighbours and their distance in Å.
Sites, in units of the cell vectors:
Er1 0.0000 0.0000 0.0000  4 Ta 3.03, 4 Tl 3.03
Ta1 0.7500 0.7500 0.7500  4 Er 3.03
Tl1 0.2500 0.2500 0.2500  4 Er 3.03

As for the symmetry: F-43m. The value obtained for the density is 10.7 g/cm3. The calculation puts the electronic total energy at -5.08 eV/atom.

----------
'''
Print all of the notes further up verbatim, please.
1.
Mg3ScIn | PBE | optimized geometry

Cell: 4.9207 4.9344 6.0767 Å, 66.94 66.54 60.30°
Space group P1 (No. 1)
Asymmetric unit:
Mg 0.0000 0.0000 0.0000
Mg 0.2066 0.2037 0.3830
Mg 0.5934 0.5916 0.2213
Sc 0.7961 0.7963 0.6115
In 0.4018 0.4027 0.7932

ΔE_f	-106	meV per atom
E_tot	-14.4	eV/cell
distance to the lowest polymorph of the same formula	0	meV/atom

2.
K3Dy3HfTe8 | PBE | optimized geometry

Cell: 8.7660 8.7660 25.3359 Å, 90.00 90.00 120.00°
Space group R-3m (No. 166, hexagonal axes)
Asymmetric unit:
K 0.0000 0.5000 0.0000
Dy 0.0000 0.5000 0.5000
Hf 0.0000 0.0000 0.5000
Te 0.0000 0.0000 0.2363
Te 0.0152 0.5076 0.2334

energy relative to the elements, uncorrected	-19.04	eV per formula unit
E_tot	-213.7	eV/cell

3.
DyHo6Er5 | PBE | optimized geometry

Cell: 6.0796 10.5197 11.6292 Å, 90.00 100.01 90.00°
Space group C2/m (No. 12)
Asymmetric unit:
Dy 0.0000 0.0000 0.0000
Ho 0.2494 0.5000 0.2503
Ho 0.2497 0.1667 0.2504
Er 0.0000 0.1668 0.5000
Er 0.0000 0.3333 0.0000
Er 0.0000 0.5000 0.5000

ΔE_f	20	meV per atom
E_tot	-109.3	eV/cell

4.
La2GaBr | PBE | optimized geometry

Cell: 4.3813 4.3813 15.2591 Å, 90.00 90.00 120.00°
Space group P6_3/mmc (No. 194)
Asymmetric unit:
La 0.3333 0.6667 0.1109
Ga 0.0000 0.0000 0.0000
Br 0.3333 0.6667 0.7500

energy relative to the elements, uncorrected	-3.69	eV per formula unit
E_tot	-36.5	eV/cell
distance to the lowest polymorph of the same formula	58	meV/atom

----------

one.
Below is an optimized crystal structure of La2NbAlBi, with properties calculated at the PBE-GGA level.

```
La2NbAlBi
1.0
-5.8541 0.9821 1.2277
-1.3640 -3.1457 -3.9879
-0.0103 -4.7574 3.7562
La Nb Al Bi
2 1 1 1
direct
0.5000 0.0000 0.0000 La
0.0000 0.0000 0.5000 La
0.0000 0.5000 0.0000 Nb
0.5000 0.5000 0.5000 Al
0.0000 0.0000 0.0000 Bi
```

## Properties
total magnetic moment: 1.4 μB/f.u.
symmetry: No. 123

=====

two.
Below is an optimized crystal structure of La2NbAlBi, with properties calculated at the PBE-GGA level.

```
La2NbAlBi
1.0
-5.4406 -1.5301 -0.8419
1.0939 -4.6361 1.3569
-1.2072 1.3046 5.4305
Nb Bi Al La
1 1 1 2
direct
0.0000 0.5000 0.0000 Nb
0.5000 0.5000 0.5000 Bi
0.0000 0.0000 0.0000 Al
0.5000 0.0000 0.0000 La
0.0000 0.0000 0.5000 La
```

## Properties
total magnetic moment: 1.9 μB/f.u.
symmetry: No. 123

=====

one is the least stable structure shown above.

----------

1.
VASP calculation (PBE) on a relaxed ErTaTl crystal.

Lattice parameters (Å, degrees): 4.9501 4.9501 4.9501 60.00 60.00 60.00
Last column: nearest neighbours and their distance in Å.
Sites, in units of the cell vectors:
Er1 0.0000 0.0000 0.0000  4 Ta 3.03, 4 Tl 3.03
Ta1 0.7500 0.7500 0.7500  4 Er 3.03
Tl1 0.2500 0.2500 0.2500  4 Er 3.03

As for the symmetry: F-43m. The value obtained for the density is 10.7 g/cm3. The calculation puts the electronic total energy at -5.08 eV/atom.


2.
VASP calculation (PBE) on a relaxed ErTaTl crystal.

Lattice parameters (Å, degrees): 4.8190 4.8190 4.8190 60.00 60.00 60.00
Last column: nearest neighbours and their distance in Å.
Sites, in units of the cell vectors:
Er1 0.0000 0.0000 0.0000  4 Tl 2.95
Ta1 0.5000 0.5000 0.5000  4 Tl 2.95
Tl1 0.2500 0.2500 0.2500  4 Ta 2.95, 4 Er 2.95

As for the symmetry: F-43m. The value obtained for the density is 11.6 g/cm3. The calculation puts the electronic total energy at -5.48 eV/atom.


> The highest electronic total energy belongs to which entry?

number 1


Please write out number 1 again, unchanged.
VASP calculation (PBE) on a relaxed ErTaTl crystal.

Lattice parameters (Å, degrees): 4.9501 4.9501 4.9501 60.00 60.00 60.00
Last column: nearest neighbours and their distance in Å.
Sites, in units of the cell vectors:
Er1 0.0000 0.0000 0.0000  4 Ta 3.03, 4 Tl 3.03
Ta1 0.7500 0.7500 0.7500  4 Er 3.03
Tl1 0.2500 0.2500 0.2500  4 Er 3.03

As for the symmetry: F-43m. The value obtained for the density is 10.7 g/cm3. The calculation puts the electronic total energy at -5.08 eV/atom.

----------